After the Christmas binge, January is a great time to give your body a clean and rest. Beauty4Media reports that psychologically it's the start of a fresh new year. Physically it follows a period of over-indulgence and probably an amount of unhealthy eating and drinking. So start the New Year by giving your body the chance to make the most of the opportunities ahead. 

Data records from another source follow >
-- begin --
# AgIrO3 | Alexandria | GGA-PBE | optimized geometry
# - Volume: 13.987 Å³ per atom
# - SG: P6_3/mmc (194)
# - Formation energy without anion corrections: -0.236 eV per atom
data_AgIrO3
_chemical_formula_sum 'Ag2 Ir2 O6'
_cell_length_a 5.177
_cell_length_b 5.586
_cell_length_c 5.588
_cell_angle_alpha 120.05
_cell_angle_beta 89.98
_cell_angle_gamma 90.01
_symmetry_space_group_name_H-M 'P 1'
_symmetry_Int_Tables_number 1
_symmetry_space_group_name_Hall 'P 1'
loop_
_atom_site_label
_atom_site_type_symbol
_atom_site_fract_x
_atom_site_fract_y
_atom_site_fract_z
_atom_site_occupancy
Ag1 Ag 0.750 0.667 0.333 1
Ag2 Ag 0.250 0.333 0.667 1
Ir1 Ir 0.000 0.000 0.000 1
Ir2 Ir 0.500 0.000 0.000 1
O1 O 0.750 0.685 0.842 1
O2 O 0.250 0.843 0.685 1
O3 O 0.250 0.315 0.158 1
O4 O 0.750 0.157 0.315 1
O5 O 0.250 0.843 0.157 1
O6 O 0.750 0.157 0.843 1

# Sm2AlSe | Alexandria | GGA-PBE | optimized geometry
# - Volume: 27.076 Å³ per atom
# - SG: R3m (160)
# - Formation energy without anion corrections: -0.952 eV per atom
data_Sm2AlSe
_chemical_formula_sum 'Sm2 Al1 Se1'
_cell_length_a 3.904
_cell_length_b 3.904
_cell_length_c 8.510
_cell_angle_alpha 76.74
_cell_angle_beta 76.74
_cell_angle_gamma 60.00
_symmetry_space_group_name_H-M 'P 1'
_symmetry_Int_Tables_number 1
_symmetry_space_group_name_Hall 'P 1'
loop_
_atom_site_label
_atom_site_type_symbol
_atom_site_fract_x
_atom_site_fract_y
_atom_site_fract_z
_atom_site_occupancy
Sm1 Sm 0.086 0.086 0.741 1
Sm2 Sm 0.247 0.247 0.258 1
Al1 Al 0.667 0.667 0.998 1
Se1 Se 0.499 0.499 0.503 1

# BeReRu | Alexandria | GGA-PBE | optimized geometry
# - Volume: 15.158 Å³ per atom
# - DFT total energy: -0.595 Ry/atom
# - SG: F-43m (216)
data_BeReRu
_chemical_formula_sum 'Be1 Re1 Ru1'
_cell_length_a 4.006
_cell_length_b 4.006
_cell_length_c 4.006
_cell_angle_alpha 60.00
_cell_angle_beta 60.00
_cell_angle_gamma 60.00
_symmetry_space_group_name_H-M 'P 1'
_symmetry_Int_Tables_number 1
_symmetry_space_group_name_Hall 'P 1'
loop_
_atom_site_label
_atom_site_type_symbol
_atom_site_fract_x
_atom_site_fract_y
_atom_site_fract_z
_atom_site_occupancy
Re1 Re 0.500 0.500 0.500 1
Be1 Be 0.000 0.000 0.000 1
Ru1 Ru 0.750 0.750 0.750 1

# TlAgRu2Pt | Alexandria | GGA-PBE | optimized geometry
# - Volume: 23.687 Å³ per atom
# - DFT total energy: -0.308 Ry/atom
# - SG: P4/mmm (123)
data_TlAgRu2Pt
_chemical_formula_sum 'Tl1 Ag1 Ru2 Pt1'
_cell_length_a 4.885
_cell_length_b 4.964
_cell_length_c 4.885
_cell_angle_alpha 90.00
_cell_angle_beta 90.00
_cell_angle_gamma 90.00
_symmetry_space_group_name_H-M 'P 1'
_symmetry_Int_Tables_number 1
_symmetry_space_group_name_Hall 'P 1'
loop_
_atom_site_label
_atom_site_type_symbol
_atom_site_fract_x
_atom_site_fract_y
_atom_site_fract_z
_atom_site_occupancy
Ru1 Ru 0.000 0.000 0.500 1
Ru2 Ru 0.500 0.000 0.000 1
Tl1 Tl 0.500 0.500 0.500 1
Ag1 Ag 0.000 0.000 0.000 1
Pt1 Pt 0.000 0.500 0.000 1

# Cr2FeP | Alexandria | GGA-PBE | optimized geometry
# - Volume: 11.984 Å³ per atom
# - DFT total energy: -0.584 Ry/atom
-- stop --

Detoxing has many benefits - it can enhance your energy levels, aid weight loss, clear the skin and improve digestion. Ilona Wesle is a nutritionist and co-founder of MyDetoxDiet. Check out the following 7-day detox tips she recommends and see if you're game:

Materials data from another source follow:
-- begin --
Computed, not measured: HgTe2Pd8 after structural relaxation at the PBE level of DFT.

Calculated values
**Energy above the most stable polymorph in this dataset**: 22 kJ/mol of formula units

The structure in CIF format:
```
data_HgTe2Pd8
_symmetry_space_group_name_H-M 'P 1'
_symmetry_Int_Tables_number 1
_cell_length_a 4.7433
_cell_length_b 6.2671
_cell_length_c 7.5734
_cell_angle_alpha 112.64
_cell_angle_beta 105.94
_cell_angle_gamma 95.11
loop_
_symmetry_equiv_pos_as_xyz
'x,y,z'
loop_
_atom_site_label
_atom_site_type_symbol
_atom_site_fract_x
_atom_site_fract_y
_atom_site_fract_z
Hg1 Hg 0.0000 0.0000 0.0000
Te1 Te 0.3692 0.2965 0.6818
Te2 Te 0.6872 0.6151 0.3182
Pd1 Pd 0.1845 0.8908 0.3374
Pd2 Pd 0.2181 0.4471 0.3949
Pd3 Pd 0.3840 0.9050 0.7505
Pd4 Pd 0.3933 0.6762 0.9998
Pd5 Pd 0.6330 0.1547 0.2489
Pd6 Pd 0.8235 0.0528 0.6047
Pd7 Pd 0.8461 0.5545 0.6628
Pd8 Pd 0.8800 0.4254 0.0000
```

Computed, not measured: HgTePd after structural relaxation at the PBE level of DFT.

Calculated values
**Energy above the most stable polymorph in this dataset**: 34 kJ/mol of formula units

The structure in CIF format:
```
data_HgTePd
_symmetry_space_group_name_H-M 'P 3 m 1'
_symmetry_Int_Tables_number 156
_cell_length_a 3.9762
_cell_length_b 3.9762
_cell_length_c 5.3531
_cell_angle_alpha 90.00
_cell_angle_beta 90.00
_cell_angle_gamma 120.00
loop_
_symmetry_equiv_pos_as_xyz
'x,y,z'
'-y,x-y,z'
'-x+y,-x,z'
'-y,-x,z'
'-x+y,y,z'
'x,x-y,z'
loop_
_atom_site_label
_atom_site_type_symbol
_atom_site_fract_x
_atom_site_fract_y
_atom_site_fract_z
Hg1 Hg 0.0000 0.0000 0.0000
Te1 Te 0.3333 0.6667 0.5763
Pd1 Pd 0.6667 0.3333 0.3227
```

Computed, not measured: HgTePd4 after structural relaxation at the PBE level of DFT.

Calculated values
**Energy above the most stable polymorph in this dataset**: 252 kJ/mol of formula units

The structure in CIF format:
```
data_HgTePd4
_symmetry_space_group_name_H-M 'I 41 m d'
_symmetry_Int_Tables_number 109
_symmetry_space_group_name_Hall 'I 4bw -2'
_cell_length_a 7.9686
_cell_length_b 7.9686
_cell_length_c 9.0341
_cell_angle_alpha 90.00
_cell_angle_beta 90.00
_cell_angle_gamma 90.00
loop_
_atom_site_label
_atom_site_type_symbol
_atom_site_fract_x
_atom_site_fract_y
_atom_site_fract_z
Hg1 Hg 0.0000 0.0000 0.0000
Te1 Te 0.0000 0.0000 0.5053
Pd1 Pd 0.0000 0.1703 0.2655
Pd2 Pd 0.0000 0.1795 0.7400
```

Computed, not measured: HgTe2Pd2 after structural relaxation at the PBE level of DFT.

Calculated values
**Energy above the most stable polymorph in this dataset**: 105 kJ/mol of formula units

The structure in CIF format:
```
data_HgTe2Pd2
_symmetry_space_group_name_H-M 'P 4/m b m'
_symmetry_Int_Tables_number 127
_symmetry_space_group_name_Hall '-P 4 2ab'
_cell_length_a 8.4293
_cell_length_b 8.4293
_cell_length_c 3.1583
_cell_angle_alpha 90.00
_cell_angle_beta 90.00
_cell_angle_gamma 90.00
loop_
_atom_site_label
_atom_site_type_symbol
_atom_site_fract_x
_atom_site_fract_y
_atom_site_fract_z
Hg1 Hg 0.0000 0.0000 0.0000
-- stop --
The materials data stop here:

Just Say No. Wesle says to avoid black tea, coffee and alcohol. "Instead drink herbal tea, for example Nettle is great at supporting the kidneys, or try MyDetoxDiet's 7x7 tea to cleanse the liver," she said.

H2O. Start the year off super hydrated. "Drink at least 1 liter of water per day - ideally more," Ilona recommended. "Keep a bottle by your desk and sip regularly - you'll be amazed how easy it is if you drink little and often."

From Festive to Fruity. After the holidays, reboot with fruit. "Drink fresh juices, like carrot, beetroot, apple and cucumber, as they are fantastically nourishing and cleansing," the nutritionist explained.

Don't Take the Easy Way Out. Ilona says to start the month off by avoiding processed foods like ready-made meals, savory snacks and biscuits. "Instead eat food in its natural state. Cook it by steaming, lightly boiling or poaching - this way you will keep most of the goodness in the food and retain the full flavor."

Organic Options. "Detox for the new year by choosing organic food in order to minimize your intake of toxic pesticides," Wesle explained. "Even if you cant make every item organic, do the best you can - it will make a difference."

Lucky #5. "Eat at least five portions of fruit and vegetables per day - ideally more," Illona noted. "At lunchtime and for dinner, aim to cover at least 60% of your plate with vegetables and eat as much variety as possible."

Dairy Dont's. Wesle suggests to also reduce your consumption of animal products. "Avoid dairy and replace milk with soya or nut milks. Lentils, beans, quinoa, seeds and nuts are good protein alternatives," she explained.

R&R. And finally, you can support the detox process by getting a good night's sleep. Trying yoga, pilates, treating yourself to a massage, an infrared dome session (in order to sweat out the toxins), and exercising regularly is a great way to detoxify too," Ilona said.

By looking after your body at the start of the year, you will give yourself the best chance to stay healthy in the cold months ahead and head into spring happier and healthier!